Every year, there are two weeks in May where the space/time continuum decides to do its own thing. Times moves faster for a few days, then slows down for a bit, then moves faster again before getting to the final 24 hours of that period and just crawling. Those are the two weeks that precede the Eurovision Song Contest, and the first warning ahead of the continuum returning to normal is the sound of the Te Deum playing on many screens across the world. A few hours later, when the second Te Deum sounds, the continuum resets itself and returns to its normal functionality until the following year.
We’re now inside those 24 hours, and there’s not much we can do except count down the hours, minutes and seconds. And overthink. A lot.
If you read this and thought: “Shi, you ALWAYS overthink things”, you’d be absolutely correct. But the overthinking of the last 24 hours is a very unique mutation of the standard overthinking, as it is greatly impacted by oversaturation (at least to some degree) of all the entries, on top of already having come up with approximately a thousand previous thoughts and not getting enough sleep.
It’s obviously not going to stop me, but I will attempt to keep that in mind as I send some last thoughts into the universe ahead of tonight’s Eurovision final, which – however it ends – will be something that we’ve never had before.
Finding out who our new Eurovision winner is aside, one of the things that I always look forward to in a final is finally getting answers to so many of my questions. As we discover the votes from the juries, and later the televote, we begin to sort the year into the piles of the predictable and the surprising, even when for some we might already have a sense of where it’s going. Will we see any of the first few songs making a dent on the scoreboard? It feels unlikely, but never say never.
There are many songs which qualified from both semis that very much feel like jury songs. Was any of them actually more of a televote song? Or both? Curious minds – well, my mind – want to know.

Don’t you еver dare to wear my Johnny Cash t-shirt
(EBU / Sarah Louise Bennett)
How will Serbia do? It felt like a wildcard before the semi-final, but with hours to go until the final it seems to be one of those few wonderfully unexpected surprises that happen every year, if we’re lucky. And what about the up-tempos? In a field that has very few crowd-pleasers of that sort, who will fare better? Norway, which I thought was a safe enough bet since it was picked, or Moldova, with a dreamy running order position in the middle of all the second half ballads? An oasis in the desert, that one.
And then, of course, we have Spain. Chanel, despite being a big 5 performer, has managed to build quite a momentum for herself, and I want to know how it ends. It’s weird to think that somewhere in Europe there are a few people who already know how the juries voted and they have a better idea (or at least a better guess) of where this is going, but it’s a spoiler-free zone for the rest of us.

[Between two parts of the piece: crystal structures]
********
Theoretical powder XRD pattern of Ac3TbBi4 for Cu Kα, from a DFT-relaxed cell (GGA-PBE, Alexandria).
Peak positions follow from Bragg's law for the DFT cell and can differ from measured ones.

Atomic structure:
```
data_Ac3TbBi4
_cell_length_a 8.290
_cell_length_b 9.591
_cell_length_c 8.294
_cell_angle_alpha 90.00
_cell_angle_beta 109.51
_cell_angle_gamma 90.00
_symmetry_space_group_name_H-M 'P 1 2/c 1'
_symmetry_Int_Tables_number 13
_symmetry_space_group_name_Hall '-P 2yc'
loop_
_atom_site_label
_atom_site_type_symbol
_atom_site_fract_x
_atom_site_fract_y
_atom_site_fract_z
Ac1 Ac 0.000 0.124 0.250
Ac2 Ac 0.000 0.372 0.750
Ac3 Ac 0.500 0.373 0.250
Tb1 Tb 0.500 0.123 0.750
Bi1 Bi 0.257 0.367 0.508
Bi2 Bi 0.265 0.117 0.999
```

Top 12 peaks for 10° ≤ 2θ ≤ 90°, sorted by position:
2θ = 26.31°, I 100, hkl 1 2 1
2θ = 37.56°, I 80, hkl 1 2 -3
2θ = 46.44°, I 29, hkl 0 0 4
2θ = 54.16°, I 14, hkl 2 4 2
2θ = 61.18°, I 32, hkl 0 4 4
2θ = 61.24°, I 6, hkl 3 2 3
2θ = 67.74°, I 17, hkl 2 0 -6
2θ = 67.83°, I 12, hkl 1 2 5
2θ = 80.16°, I 6, hkl 2 4 -6
2θ = 80.25°, I 1, hkl 4 0 4
2θ = 86.08°, I 10, hkl 3 6 -5
2θ = 86.20°, I 9, hkl 1 2 -7

=====

# Pm3Al3Ru2
Theoretical XRD peak list, λ = 1.5418 Å (Cu Kα). Input: a DFT-relaxed cell (GGA-PBE, Alexandria).
Lines closer than 0.1° are merged.

Top 10 peaks for 10 to 90 degrees two-theta, in order of rising 2θ:
(0 4 0), 2θ 23.0, intensity 28; (1 3 1), 2θ 25.6, intensity 47; (2 1 1), 2θ 28.1, intensity 28; (1 4 1), 2θ 29.9, intensity 49; (2 4 0), 2θ 32.8, intensity 100; (0 6 0), 2θ 34.9, intensity 33; (2 4 1), 2θ 36.2, intensity 51; (1 3 2), 2θ 36.8, intensity 53; (3 0 1), 2θ 38.0, intensity 50; (1 7 2), 2θ 53.0, intensity 32

Cell and atoms:
Cell lengths 7.7328, 15.4454, 5.9476 Å; angles 90.00, 90.00, 90.00 degrees
Atoms (fractional coordinates):
Pm1 0.0346 0.1069 0.1020
Pm2 0.0346 0.3931 0.1020
Pm3 0.1735 0.2500 0.6242
Pm4 0.3265 0.7500 0.1242
Pm5 0.4654 0.6069 0.6020
Pm6 0.4654 0.8931 0.6020
Pm7 0.5346 0.1069 0.3980
Pm8 0.5346 0.3931 0.3980
Pm9 0.6735 0.2500 0.8758
Pm10 0.8265 0.7500 0.3758
Pm11 0.9654 0.6069 0.8980
Pm12 0.9654 0.8931 0.8980
Al1 0.1559 0.0348 0.5917
Al2 0.1559 0.4652 0.5917
Al3 0.1725 0.7500 0.6090
Al4 0.3275 0.2500 0.1090
Al5 0.3441 0.5348 0.0917
Al6 0.3441 0.9652 0.0917
Al7 0.6559 0.0348 0.9083
Al8 0.6559 0.4652 0.9083
Al9 0.6725 0.7500 0.8910
Al10 0.8275 0.2500 0.3910
Al11 0.8441 0.5348 0.4083
Al12 0.8441 0.9652 0.4083
Ru1 0.1384 0.6056 0.3661
Ru2 0.1384 0.8944 0.3661
Ru3 0.3616 0.1056 0.8661
Ru4 0.3616 0.3944 0.8661
Ru5 0.6384 0.6056 0.1339
Ru6 0.6384 0.8944 0.1339
Ru7 0.8616 0.1056 0.6339
Ru8 0.8616 0.3944 0.6339
********

Shady Lady, I’m gonna strike like thunder
(EBU / Corinne Cumming)
Speaking of Chanel, can we talk about the Big Five Eurovision Miracle of 2022, in which all entries from the big 5 are actually – gasp – interesting? Yes, even Germany, who regardless of its upcoming result actually ended up molding Rockstars into a credible, competent package performed extremely well by Malik Haris, if the semi-final performance of it is anything to go by. Unfortunately for them it’s exactly the wrong year for something like this, although it will definitely be fascinating to see where the many male soloist songs end up on the scoreboard.

=====
Simulated XRD peak list
Compound: Pr2ErPb2
Radiation: copper Kα
Structure: a DFT-relaxed cell (PBE, Alexandria)

Largest 10 diffraction maxima, most intense first, 2θ = 5–70°:
d 2.894, 2θ 30.9, rel. 100, hkl 2 1 1
d 2.620, 2θ 34.2, rel. 40, hkl 3 1 0
d 1.736, 2θ 52.7, rel. 24, hkl 3 1 2
d 2.318, 2θ 38.9, rel. 19, hkl 0 0 2
d 1.460, 2θ 63.7, rel. 16, hkl 5 2 1
d 3.089, 2θ 28.9, rel. 15, hkl 2 0 1
d 2.281, 2θ 39.5, rel. 12, hkl 3 1 1
d 4.635, 2θ 19.1, rel. 12, hkl 0 0 1
d 1.426, 2θ 65.5, rel. 12, hkl 2 1 3
d 1.844, 2θ 49.4, rel. 10, hkl 4 1 1

Atomic structure:
Cell lengths 8.2858, 8.2858, 4.6350 Å; angles 90.00, 90.00, 90.00 degrees
Space group P4/mbm (No. 127)
Inequivalent atoms, fractional coordinates:
Pr: 0.1687 0.3313 0.0000 x4
Er: 0.0000 0.0000 0.5000 x2
Pb: 0.1364 0.6364 0.5000 x4
=====

You got in my head, boy, like a song that I kept on singing, all along
(EBU / Corinne Cumming)
France is very unlikely to repeat last year’s result or be anywhere close to it, and I don’t think it’s far-fetched to assume it’s not going to be the juries’ cup of tea (or champagne) based on past experience of what happens when juries and ethnic music meet. But it’s such a different thing to have – in all of its charming and slightly amateur glory – in this year’s line-up, especially from France, that I really hope people at home respond to that.
Italy has been out of the top 10 only twice since its return in 2011, so having them on the list of possible candidates to do well isn’t particularly shocking at this point. But having the United Kingdom there, together with Spain, is – even as a theoretical possibility – more shocking than having a top 2 of Italy and France last year.

If your world is breaking and growing up is getting old, know that you’re worth saving and getting up is all you’ve got
(EBU / Corinne Cumming)
If it was a normal year, this would be the place where I’d make the somewhat unthinkable call of saying I think UK and Spain are our #1 and #2 of the night, being the only two I can imagine doing very well with both the televoters and the juries.
But it’s not a normal year, so it might or might not be enough, although even the fact I’m fairly certain that both of them will end up in the top 5 regardless is already sheer madness. For two countries whose average placement in the last ten editions was 20-21 to be in contention in the same edition, a lot of stars had to align in a very specific way, and who knows what shady deals those stars had to agree to if it actually happens.

I can, I will, I know I can
(EBU / Corinne Cumming)
It’s not a normal year, however, and therefore there can’t really be a preview post of the final without talking about Ukraine.
On the most basic level, knowing what is going on there, seeing what we’re seeing, it’s a good reminder for me to maintain some perspective. Whatever happens, it’s just a song contest. One with a rich history that I have also have much personal history related to, but still: a song contest. It’s also generally a good thing to remember, especially if Ukraine does end up winning it all tonight. In the grand scheme of things, it will be a small drop in the bucket that is their lives right now, but a much larger corner of temporary escapism and something to be happy about.
This train of thought is what – in part – makes so many people believe Ukraine will win, and that many people – not just the massive amount of refugees who have settled all over Europe – will vote for it. And it’s hard to fault anyone for caring or for trying to find a small way to show some support during this ongoing heartbreaking horror.
Having said that, tonight is also going to be a very important test for the competition and the values and ideas it is supposed to represent. One of the EBU’s favorite words is “disrepute” and they have a comprehensive list of “don’ts” to avoid bringing Eurovision into disrepute. It can something small or something on a larger scale. It can be mentioning a social network’s name in your song, or including the words “Put” and “In” in your song title. San Marino had to change their lyrics, and Georgia ended up withdrawing, all in the name of not bringing the competition into disrepute.
When Russia was – understandably – disqualified this year, the EBU cited “… concern that, in light of the unprecedented crisis in Ukraine, the inclusion of a Russian entry in this year’s Contest would bring the competition into disrepute.”
With this principle of not bringing the competition into disrepute encompassing such a wide range of possibilities, it’s hard not to wonder where having a song very clearly winning for reasons that have little to do with the song and a lot to do with its context and the time period falls, exactly.
It should be said that I intend no disrespect to “Stefania” as a song – I personally like it quite a bit – by assuming it wouldn’t have been anywhere near winning otherwise; it’s merely an observation based on every previous Eurovision we’ve seen. But it’s also the thing that makes everything about today’s vote into such a case study. There are no go-to examples, no precedents, and there’s no way for us to predict how people at home will react to it and how much the newly changed demographics of Europe will influence its result. We can only guess.
And if Ukraine does win it, we can only guess what impact it will have on the future of Eurovision in turn. It feels easy – almost obvious – to say that this is a rare situation, that we can’t know if it will happen again, and as such we should just see it as a one-off. It might be true, but beyond being optimistic about the future of Europe and the world, that also side-steps some obvious issues: for a competition that tries so hard to prove it’s actually about the songs and not just politics like its stigma insists, this would be a sure-fire way to fast-track the reversal of any progress that was made on that end.
I read an interview with Katrina (that one with the Waves) who believes Ukraine will win this. “It is political but it can be a heartfelt political thing,” she said, and then added that we “need to give it to the Ukraine.”

Where is your heart? Humanity rise
(EBU / Sarah Louise Bennett)
Basically, this means that while we know it’s not OK when the competition is political, it is OK in some circumstances to be political, to the point of us needing to actively give them the victory. If you ever wondered what the door of Pandora’s Box looks like, this is it. It’s the permission to an event that is so often criticized for being political and so often insists it isn’t political, and for better or for worse, it sets a precedent.
Of course, since there was no reason for EBU to prevent Ukraine from participating, they didn’t, and they have to leave it in the hands of the televoters and the juries. Viewers at home will vote for whatever they want to vote for: if it’s in the line-up and has a valid televoting number, it’s fair play, so while it will definitely be a fascinating piece of human research to see the breakdown of the vote from home, this isn’t the real test the competition is facing. The ones who faced its biggest challenge to date were the juries who already voted last night.
We can argue back and forth about how we think the juries voted – should they show sympathy to Ukraine on principle? Should they stick to objective voting on principle? They are human, after all, and as such they might feel sympathy that will influence their vote. They might fear negative reactions if they don’t place Ukraine high enough (even though the system changed pretty recently, and while we do get to find out the names of the jury members after the vote, the actual votes are now anonymous, marked by the letters A to E in random order).
Have you ever read the Eurovision rules? This is what the updated 2022 version says about the role of the juries:
“When voting, Jury members shall use all their professional skill and experience without favoring any contestant on the account of their nationality, gender or likeliness and shall be free from bias, external influence or pressure.”
It’s obviously fairly impossible – at least to some degree – to enforce that, but still: this is how the role of the jury in Eurovision is defined. And while no one could ever prove that all the juries who, say, placed Ukraine 3rd don’t actually like it, we could probably tell. And we’ll know, the same way that everyone else would, that when this principle had to be truly tested for the first time, it failed.

One step at a time, out of the darkness
(EBU / Corinne Cumming)
So, yes, at the end of all things, it’s just a song contest. But what could be a small win for Ukraine in the short term, for all of the momentary joy they might have in knowing they have the support of their continent, might as well be a great loss for Eurovision in the long term.
Just think about all the other delegations, as supportive they might be of Ukraine on a personal level (and many of them are) – but it’s also a great investment of money and time of both the broadcasters and the artists, and ending up investing so much but losing for reasons that have nothing to do with the quality of the song or performance is not going to make it any easier for participating broadcasters to convince artists to take part. Because, again, with all the sympathy, if they finally have the proof that what everyone always said is true – that it’s really more about politics more than anything else – then why would they?
It’s also entirely possible that it will not end this way. That Ukraine will win the televote but not the overall vote, or that they might not even win the televote. But even then, this having been such a foregone conclusion for so many people is something to think about. Eurovision, as much as everything else in life, is a dynamic thing, constantly shifting and reshaping itself to fit its place in time. And this might be another turning point in the history of this competition we loved so much, which was born from the ashes of Europe and the horrors it had seen. Eurovision keeps changing in its own way, just as we, our countries, our continents, the world, are all changing.
And let’s face it – even if the juries pass this test with flying colors and the EBU gets to breathe a sigh of relief when Ukraine finishes in a respectable third place (high enough to show support, low enough to not have to deal with the implications of it either winning or just missing out), having a country like the United Kingdom or Spain win the ESC will be almost as historically groundbreaking in its own way.
Whatever happens, I will be here tomorrow for some initial thoughts and the onset of PED.
Happy Eurovision Day!